Record 1
Computed XRD peak list of RbCuPO4 for Cu Kα, from a DFT-relaxed cell (PBE, the Materials Project).

Atomic structure:
```
data_RbCuPO4
_cell_length_a 9.3815
_cell_length_b 9.0637
_cell_length_c 5.3132
_cell_angle_alpha 90.00
_cell_angle_beta 90.00
_cell_angle_gamma 90.00
_symmetry_space_group_name_H-M 'P n a 21'
_symmetry_Int_Tables_number 33
loop_
_symmetry_equiv_pos_as_xyz
'x,y,z'
'-x,-y,z+1/2'
'-x+1/2,y+1/2,z+1/2'
'x+1/2,-y+1/2,z'
loop_
_atom_site_label
_atom_site_fract_x
_atom_site_fract_y
_atom_site_fract_z
Rb1 0.0123 0.1951 0.0000
Cu1 0.1682 0.5855 0.0196
P1 0.1912 0.4086 0.5090
O1 0.0330 0.3630 0.4831
O2 0.2109 0.5527 0.6628
O3 0.2306 0.7821 0.1441
O4 0.2432 0.9386 0.7440
```

Top 10 peaks for 15° ≤ 2θ ≤ 90°, by angle:
| 2theta | I (rel.) |
| --- | --- |
| 27.20 | 97.4 |
| 27.36 | 45.5 |
| 27.56 | 100.0 |
| 30.23 | 39.2 |
| 33.74 | 38.7 |
| 34.14 | 44.9 |
| 43.34 | 14.2 |
| 43.97 | 14.7 |
| 45.93 | 20.3 |
| 52.78 | 34.8 |

Record 2
Computed XRD peak list of KZrGeBiO6 for Cu Kα, from a DFT-relaxed cell (PBE, the Materials Project).

Atomic structure:
```
data_KZrGeBiO6
_cell_length_a 7.9925
_cell_length_b 7.9925
_cell_length_c 7.9925
_cell_angle_alpha 90.00
_cell_angle_beta 90.00
_cell_angle_gamma 90.00
_symmetry_space_group_name_H-M 'F -4 3 m'
_symmetry_Int_Tables_number 216
_symmetry_space_group_name_Hall 'F -4 2 3'
loop_
_atom_site_label
_atom_site_fract_x
_atom_site_fract_y
_atom_site_fract_z
K1 0.0000 0.0000 0.0000
Zr1 0.2500 0.2500 0.7500
Ge1 0.2500 0.2500 0.2500
Bi1 0.0000 0.0000 0.5000
O1 0.0116 0.2500 0.2500
```

Top 10 peaks for 15° ≤ 2θ ≤ 90°, by angle:
| 2theta | I (rel.) |
| --- | --- |
| 19.23 | 40.0 |
| 31.66 | 100.0 |
| 37.31 | 24.9 |
| 45.39 | 32.1 |
| 49.72 | 11.7 |
| 56.40 | 39.4 |
| 60.16 | 9.0 |
| 66.14 | 19.4 |
| 69.59 | 8.9 |
| 75.18 | 17.5 |

Record 3
Computed XRD peak list of K5Tl3O for Cu Kα, from a DFT-relaxed cell (PBE, the Materials Project).

Atomic structure:
```
data_K5Tl3O
_cell_length_a 8.4848
_cell_length_b 33.5913
_cell_length_c 8.9719
_cell_angle_alpha 90.00
_cell_angle_beta 90.00
_cell_angle_gamma 90.00
_symmetry_space_group_name_H-M 'C m c m'
_symmetry_Int_Tables_number 63
_symmetry_space_group_name_Hall '-C 2c 2'
loop_
_atom_site_label
_atom_site_fract_x
_atom_site_fract_y
_atom_site_fract_z
K1 0.0000 0.0501 0.0324
K2 0.0000 0.1802 0.0326
K3 0.2032 0.4932 0.2500
K4 0.2231 0.2323 0.7500
K5 0.2483 0.1270 0.7500
Tl1 0.0000 0.3153 0.5550
Tl2 0.0000 0.4240 0.5371
Tl3 0.2123 0.3741 0.7500
O1 0.0000 0.0122 0.7500
O2 0.0000 0.1754 0.7500
```

Top 10 peaks for 15° ≤ 2θ ≤ 90°, by angle:
| 2theta | I (rel.) |
| --- | --- |
| 28.20 | 20.8 |
| 28.97 | 86.7 |
| 29.15 | 100.0 |
| 29.94 | 83.8 |
| 33.99 | 18.8 |
| 37.17 | 44.4 |
| 37.69 | 16.7 |
| 38.52 | 18.0 |
| 40.05 | 17.9 |
| 52.46 | 21.0 |

Record 4
Computed XRD peak list of TeAuBr8 for Cu Kα, from a DFT-relaxed cell (PBE, the Materials Project).

Atomic structure:
```
data_TeAuBr8
_cell_length_a 8.2887
_cell_length_b 9.3351
_cell_length_c 10.8830
_cell_angle_alpha 86.91
_cell_angle_beta 70.43
_cell_angle_gamma 82.16
_symmetry_space_group_name_H-M 'P -1'
_symmetry_Int_Tables_number 2
loop_
_symmetry_equiv_pos_as_xyz
'x,y,z'
'-x,-y,-z'
loop_
_atom_site_label
_atom_site_fract_x
_atom_site_fract_y
_atom_site_fract_z
Te1 0.1233 0.2510 0.2248
Au1 0.4941 0.8920 0.1860
Br1 0.0888 0.8067 0.5552
Br2 0.1059 0.6893 0.8834
Br3 0.1478 0.5073 0.2791
Br4 0.2119 0.9305 0.1452
Br5 0.2419 0.1649 0.7557
Br6 0.4149 0.1084 0.3270
Br7 0.4160 0.3176 0.9642
Br8 0.4264 0.4079 0.5666
```

Top 10 peaks for 15° ≤ 2θ ≤ 90°, by angle:
| 2theta | I (rel.) |
| --- | --- |
| 17.30 | 46.5 |
| 19.76 | 44.6 |
| 19.87 | 34.3 |
| 25.18 | 100.0 |
| 26.07 | 57.6 |
| 26.81 | 75.9 |
| 29.88 | 31.8 |
| 30.20 | 46.4 |
| 33.79 | 34.1 |
| 35.97 | 61.1 |

Record 5
Computed XRD peak list of Ca2MgCd for Cu Kα, from a DFT-relaxed cell (PBE, the Materials Project).

Atomic structure:
```
data_Ca2MgCd
_cell_length_a 7.8023
_cell_length_b 7.8023
_cell_length_c 7.8023

Your job: give back every line earlier on that contains the word "peaks".

Top 10 peaks for 15° ≤ 2θ ≤ 90°, by angle:
Top 10 peaks for 15° ≤ 2θ ≤ 90°, by angle:
Top 10 peaks for 15° ≤ 2θ ≤ 90°, by angle:
Top 10 peaks for 15° ≤ 2θ ≤ 90°, by angle: